pfSense Plus vs. CE (Community Edition)

In this article, we’ll look at some of the differences between pfSense Plus vs. CE (Community Edition). pfSense has been an extremely popular firewall offering for small businesses, home lab enthusiasts, or really anyone interested in learning more about networking.

This article will break down some of the key differences between pfSense Plus vs. CE to help understand what each product is designed for.

_Here the piece breaks off for calculated molecules_
-- begin --
No. 1
The following is a quantum chemistry calculation of C4H7NS3 as an isolated structure at a distorted geometry, from the OMol25 dataset.

Summary:
- electronic energy (hartree) = -1405.77980
- highest occupied orbital energy (eV) = -8.11
- energy above the lowest of the compared OMol25 structures with the same formula, charge and spin (kcal/mol) = 90.2

The geometry in ORCA input format:
```
! wB97M-V def2-TZVPD RIJCOSX def2/J DEFGRID3
* xyz 0 1
C -0.872 -3.413 2.126
C -1.240 -2.501 1.290
C 0.798 1.931 -0.704
C -0.019 1.785 -1.968
N 0.616 0.866 0.230
S 1.436 3.414 -0.174
S -1.491 -1.398 0.200
S 2.146 0.105 -0.619
H 0.281 -3.503 2.145
H -1.483 -3.984 2.719
H -0.813 2.629 -1.928
H 0.471 1.786 -2.865
H -0.619 0.834 -1.901
H -0.178 0.312 0.341
H 0.968 1.137 1.109
*
```

=====

No. 2
The following is a quantum chemistry calculation of FH2NS as an isolated structure at a distorted geometry, from the OMol25 dataset.

Summary:
- electronic energy (hartree) = -553.88822
- highest occupied orbital energy (eV) = -9.86
- energy above the lowest of the compared OMol25 structures with the same formula, charge and spin (kcal/mol) = 9.9

The geometry in ORCA input format:
```
! wB97M-V def2-TZVPD RIJCOSX def2/J DEFGRID3
* xyz 0 1
N 0.394 0.108 0.355
F -0.796 0.997 0.971
S -0.079 -0.780 -0.902
H 0.522 -0.607 1.228
H -0.040 0.282 -1.652
*
```

=====

No. 3
The following is a quantum chemistry calculation of an isolated molecule of C4H5NO at a distorted geometry, from the OMol25 dataset.

Summary:
- electronic energy (hartree) = -285.27768
- highest occupied orbital energy (eV) = -9.31
- energy above the lowest of the compared OMol25 structures with the same formula, charge and spin (kcal/mol) = 85.9

The geometry in ORCA input format:
```
! wB97M-V def2-TZVPD RIJCOSX def2/J DEFGRID3
* xyz 0 1
C 0.153 -1.368 0.953
C 0.065 -0.217 0.022
C -0.733 0.901 0.142
C -0.116 1.734 -0.890
N 0.837 1.137 -1.533
O 0.927 -0.146 -0.988
H 1.064 -1.186 1.536
H -0.684 -1.384 1.659
H 0.244 -2.322 0.438
H -1.505 0.110 -0.184
H -0.261 2.789 -1.118
*
```

=====

No. 4
The following is a quantum chemistry calculation of C25H36N5OTc as an isolated structure, from the OMol25 dataset.

Summary:
- electronic energy (hartree) = -1403.83122
- highest occupied orbital energy (alpha / beta) (eV) = -9.97 / -10.42
- energy above the lowest of the compared OMol25 structures with the same formula, charge and spin (kcal/mol) = 12.6

The geometry in ORCA input format:
```
! wB97M-V def2-TZVPD RIJCOSX def2/J DEFGRID3
* xyz 1 2
Tc -0.171 -0.003 -0.083
C 1.956 -3.143 1.058
C 2.057 -1.774 1.732
C 2.655 -0.682 0.846
N 1.700 0.268 0.248
C 2.254 1.456 -0.222
C 3.615 1.601 -0.373
C 4.401 2.691 -0.805
C 4.027 3.948 -1.167
C 2.705 4.440 -1.204
C 1.528 3.818 -0.931
C 1.237 2.472 -0.534
N 0.015 2.015 -0.403
C -1.194 2.819 -0.379
C -1.979 2.632 0.946
C -1.261 1.777 1.984
N -1.141 0.387 1.557
C -1.835 -0.629 2.188
C -2.851 -0.379 3.085
C -3.638 -1.240 3.885
C -3.531 -2.584 4.064
C -2.598 -3.436 3.426
-- stop --

What is pfSense?

pfSense is an open-source firewall and router software. It’s based on the FreeBSD operating system, and provides a wide range of features, making it a powerful solution for managing networks by configuring firewall rules, creating VLANs, and more.

It’s used by individuals, small businesses, and large corporations alike, thanks to its flexibility, powerful capabilities, and the fact that it’s free to use (pfSense CE).

An Overview of pfSense CE

pfSense Community Edition (CE) is the free, open-source version of the pfSense software. It’s a powerful firewall and routing platform based on FreeBSD and includes a long list of related features, which make it a flexible, customizable solution for home users, enthusiasts, and businesses.

It’s important to highlight that pfSense CE is open-source because as of right now, pfSense Plus is closed-source. Therefore, users looking to run an open-source firewall are limited to pfSense CE.

pfSense CE has many similar features to pfSense Plus and will allow you to configure an extremely powerful firewall, but it is different, and we’ll look at a few of the ways below.

You can install pfSense CE on various different types of devices or even virtualize it if desired.

pfsense ce

Introduction to pfSense Plus

pfSense Plus is a commercial-grade network security product developed by Netgate that replaces pfSense Factory Edition (FE).

While pfSense CE is an open-source, free firewall, pfSense Plus is a premium, enterprise-ready version that’s designed with advanced features and capabilities suited for businesses and network professionals.

Originally, pfSense Plus was only available on Netgate appliances, AWS, and Azure, but is now available as an upgrade from pfSense CE so you can use your own hardware

It is extremely important to note that while pfSense CE is open-source, pfSense Plus is closed-source and managed entirely by Netgate. While the overall codebase will be similar based on their similar origins, pfSense Plus is different.

pfsense plus - pfsense plus vs. ce

Main Differences Between pfSense Plus and CE

The main difference between pfSense Plus and CE is that pfSense Plus is closed-source and aimed at enthusiasts/commercial entities, while pfSense CE is open-source and community-focused. Along with that, pfSense Plus is actively updated by Netgate, and pfSense CE is maintained by an open-source community.

There are a few additional differences in terms of cost and support, release versions, and features, which we’ll look at below.

Cost and Support: pfSense Plus vs. CE

pfSense CE is free and open-source. The community around it provides support through forums and other online resources. This makes it a great choice for enthusiasts, students, small businesses with tight budgets, or those who simply prefer open-source software.

pfSense CE is also a great platform to learn or test pfSense on since it’s extremely similar to pfSense Plus and can be installed on various different types of hardware.

Alternatively, pfSense Plus is a premium product that is a great option for small businesses or home lab enthusiasts. pfSense Plus is included with all Netgate devices, can be upgraded to from pfSense CE, or can be run in AWS or Azure in the cloud.

Changes in Release Numbering Convention: pfSense Plus vs. CE

The version numbers of pfSense CE and pfSense Plus are different to help distinguish them. pfSense CE uses the format major.minor.patch with the latest version being pfSense CE 2.6.0.

Unrelated to this entry: calculated molecules:
(1)
Entry from the OMol25 dataset: a 11-piece molecular cluster, C46H124N10O14 overall (the ωB97M-V functional and the def2-TZVPD basis).

Geometry (Å):
C: 3.641 -17.176 5.704
H: 7.887 -18.535 -3.023
C: 2.344 -10.985 -5.774
C: 1.856 -18.236 9.325
N: 3.604 -11.973 8.165
C: 1.234 -17.896 1.390
C: 3.083 -22.400 4.007
C: 2.698 -21.261 10.049
H: 3.172 -23.429 3.657
C: 5.442 -19.409 0.773
C: 6.266 -9.928 -2.210
H: 11.541 -16.436 0.906
O: 4.028 -19.562 1.054
C: 8.123 -18.283 11.825
H: 3.438 -15.157 -0.482
H: 9.264 -16.364 11.508
N: 7.014 -18.180 -3.387
H: 0.278 -20.184 9.130
H: 3.890 -19.291 3.097
H: 6.411 -18.674 4.380
C: 3.606 -16.078 -1.041
H: 2.438 -18.704 10.120
C: 1.790 -12.104 -1.044
H: 5.291 -16.074 -3.680
H: 7.381 -13.722 0.811
H: 1.376 -16.824 1.524
H: 6.647 -10.959 7.006
H: 3.141 -14.669 4.991
C: 5.557 -10.952 6.977
H: 6.594 -17.664 -1.382
H: -2.424 -15.853 3.135
H: 5.252 -21.823 3.853
H: 10.266 -16.270 -0.200
C: -1.168 -9.792 -5.813
H: 5.499 -19.725 -0.268
H: 5.145 -16.507 8.901
C: 4.732 -14.640 2.206
C: -1.494 -13.856 2.776
H: 8.143 -16.191 12.781
C: 6.756 -17.866 3.734
H: 8.073 -9.787 0.528
H: 5.961 -18.471 0.970
H: 5.218 -10.821 0.383
H: 9.550 -17.229 13.061
O: 6.615 -11.880 1.343
H: 1.457 -18.163 0.358
H: 2.614 -21.784 6.760
H: 4.533 -17.498 -2.831
H: 1.443 -19.956 2.298
H: 8.310 -9.870 -1.584
H: 1.386 -9.429 -7.061
H: 6.764 -8.718 0.196
O: 7.857 -18.228 2.915
C: 9.852 -17.220 1.874
H: 1.827 -19.219 4.405
N: 3.027 -21.479 7.630
C: 10.476 -16.210 0.867
H: 8.021 -16.197 2.733
H: 4.812 -18.216 9.319
O: -2.478 -14.756 4.868
H: 1.157 -12.317 -4.640
H: 1.547 -22.457 8.544
O: 5.061 -22.778 5.555
H: 5.858 -17.716 3.135
H: 2.646 -17.155 6.150
C: 5.178 -13.509 7.166
H: 0.233 -13.747 1.497
H: -0.585 -15.267 1.178
H: -1.561 -10.809 -5.830
H: 5.633 -12.205 8.709
C: 6.139 -10.605 0.927
N: 8.887 -18.781 10.697
C: 5.254 -16.682 -2.776
H: -0.431 -12.029 3.032
H: 0.202 -13.255 3.871
H: 2.934 -21.706 3.180
C: 5.969 -8.716 7.445
H: 4.905 -13.926 1.402
N: 7.369 -10.083 -1.287
H: 6.167 -18.969 11.099
H: 3.738 -16.971 -0.431
H: 6.821 -16.964 4.342
C: 7.062 -9.764 0.123
O: 1.997 -22.200 4.911
C: -0.745 -14.228 1.468
H: 5.427 -10.477 -1.782
C: 3.026 -12.784 -4.312
C: 7.938 -16.282 -2.288
C: 3.076 -15.347 4.141
H: 0.836 -18.054 9.666
O: 1.740 -19.112 8.138
H: 2.577 -10.246 -5.007
H: 2.693 -14.977 1.938
H: 6.202 -13.818 7.376
H: 5.515 -8.011 -4.544
C: 1.008 -20.336 8.335
H: 2.588 -12.567 -0.463
C: 5.004 -12.137 7.822
H: 2.790 -13.841 -4.195
H: 0.804 -12.433 -0.715
H: 3.550 -11.197 8.809
O: 0.191 -9.726 -5.433
H: 2.749 -16.210 -1.701
H: 9.486 -19.201 2.068
H: 5.155 -10.920 5.964
H: 6.154 -13.059 -0.172
H: -0.926 -15.666 3.836
N: 10.033 -18.628 1.442
H: 4.475 -16.727 6.243
H: 8.144 -19.021 12.627
H: 2.745 -12.530 2.345
H: -2.416 -13.308 2.586
C: 5.122 -17.244 9.704
H: 2.031 -17.709 3.801
N: 3.110 -13.128 3.073
H: 5.973 -20.123 1.404
C: 6.650 -10.132 -3.677
C: 5.346 -8.848 -5.222
H: 8.724 -16.941 -1.919
H: 8.214 -16.040 -3.314
H: 4.351 -8.525 -5.530

pfsense ce. 2.6

On the other hand, pfSense Plus uses the year.month.patch format, with the latest version being pfSense Plus 23.05. 

pfsense plus 23.05

Features: pfSense Plus vs. CE

While new pfSense Plus features will be developed, tested, and eventually made available to the pfSense CE software, there is a chance that further development will have to be done in pfSense CE to enable it.

As of right now, there aren’t major differences between both, but that may widen as time goes on, especially with Netgate determining when things are developed/released.

To be clear, this isn’t necessarily a bad thing, but it does mean that there can be significant changes between pfSense CE and pfSense Plus in the future if active development isn’t continued with CE.

The active pfSense CE community is what will determine the path that pfSense CE takes, but Netgate is focused on making the best firewall software possible for pfSense Plus.

So…pfSense Plus or CE?

Unfortunately, your choices are extremely limited when picking between pfSense CE and Plus at this point in time if open-source is a requirement.

If you don’t care about open-source software, pfSense Plus can be migrated to from pfSense CE for free if you’re using it for home/dev testing. This allows you to use it with your own hardware. You can also use pfSense Plus by purchasing a Netgate device, or in the cloud with AWS or Azure.

If you’re comfortable with a closed-source solution, you’ll be very pleased with pfSense Plus as it’s a great product offering. The Netgate hardware is also great – I own a Netgate 6100 device and it’s absolutely awesome.

Final Thoughts: pfSense Plus vs. CE

This article looked at pfSense Plus vs. CE. pfSense CE has been a great product offering for many years, and I’m hoping that the community continues to develop it so that it keeps up with pfSense Plus.

As of right now (and in my opinion only), the risk with pfSense CE is that development for it stops and it slowly becomes an outdated firewall. While I don’t necessarily think that will happen, it is important to keep in mind that it is possible.

Either way, testing and even using pfSense CE is still a great option and provides an extremely powerful open-source firewall.

Thanks for checking out the article on pfSense Plus vs. CE. If you have any questions on pfSense Plus vs. CE, please leave them in the comments!

Frank Joseph (WunderTech)

WunderTech is maintained by Frank, an IT professional with 15+ years of experience in corporate IT and application management. Frank holds a Bachelor of Science in Computer Information Systems and a Master of Business Administration (MBA). He focuses on sharing his experience with others on his website and YouTube channel.